Listing >
'''
{"formula": "C4H11N2", "method": "ωB97M-V with the def2-TZVPD basis set", "de_lowest_kcal_mol": 125.3, "lumo_ev": [-4.10, -4.10], "homo_energy_ev": [-12.73, -12.73], "total_charge": 1, "gap_ev": [8.63, 8.63], "symbols": ["C", "C", "C", "C", "N", "N", "H", "H", "H", "H", "H", "H", "H", "H", "H", "H", "H"], "xyz": [[2.26680, 1.09754, 0.01145], [1.96010, -0.17592, 0.10427], [-1.05106, -0.09137, -1.36425], [-0.49019, -0.10146, 0.04350], [-0.90018, 0.94233, 0.84900], [-0.79621, -1.45851, 0.86778], [3.24474, 1.35708, -0.39526], [1.65579, 1.92990, -0.07767], [2.62881, -1.02182, -0.15229], [-0.49909, 0.29315, -2.14364], [-2.09217, 0.44034, -1.20821], [-1.29178, -1.13762, -1.59654], [-0.41910, 1.32836, 1.69254], [-1.56192, 1.61680, 0.35431], [-0.10269, -2.11258, 0.59585], [-1.73554, -1.76565, 0.56881], [-0.81630, -1.14056, 1.85033]], "forces_ev_per_angstrom": [[1.476, -1.627, -1.318], [-2.425, 0.741, -0.634], [-3.626, -1.348, 3.230], [3.287, 0.001, 1.451], [-1.004, 1.704, -0.819], [-1.359, 2.347, -1.164], [0.444, -0.199, 0.677], [-1.717, 1.254, 0.526], [-0.896, 0.270, 0.447], [1.414, 1.191, -1.259], [1.820, -0.843, -0.910], [0.024, 0.253, -0.355], [-0.361, -0.780, -1.369], [1.489, -1.064, 1.245], [0.841, -0.979, 0.282], [0.318, -0.157, 0.471], [0.274, -0.765, -0.500]]}

{"formula": "C8H6N2O", "method": "ωB97M-V with the def2-TZVPD basis set", "de_lowest_kcal_mol": 71.0, "lumo_ev": 0.63, "homo_energy_ev": -8.75, "total_charge": 0, "gap_ev": 9.38, "symbols": ["C", "C", "C", "C", "C", "C", "C", "C", "H", "H", "H", "H", "H", "H", "N", "N", "O"], "xyz": [[2.08345, -1.67488, -0.76382], [3.08484, -0.86902, -0.32433], [2.61980, 0.35008, 0.30885], [0.43854, -0.15177, -0.12509], [0.69027, -1.28163, -0.73654], [-1.03047, 0.25930, 0.03948], [-3.05361, 0.36902, -0.09986], [-2.65599, 1.29098, 0.82021], [2.31031, -2.74602, -1.38982], [4.13588, -0.98268, -0.35069], [3.58084, 0.98799, 0.64946], [0.05284, -2.08086, -0.97307], [-4.23920, 0.50485, -0.50616], [-3.14608, 2.08072, 1.42260], [1.32298, 0.70164, 0.40749], [-2.04724, -0.26160, -0.55207], [-1.33572, 1.17540, 0.93079]], "forces_ev_per_angstrom": [[-0.598, -3.325, -3.125], [-2.057, 2.215, 1.276], [1.630, -0.023, -0.434], [-3.383, 3.308, 1.720], [4.489, -3.384, -0.306], [3.246, -1.506, -0.121], [-8.158, 4.363, 1.026], [-1.694, 1.077, 0.914], [-0.475, 3.101, 2.085], [0.730, -0.685, -0.254], [-3.035, -0.748, -0.309], [-1.418, -0.171, -0.588], [3.625, -1.322, 0.962], [0.401, -0.886, -0.587], [2.670, -0.032, 0.059], [3.222, -2.780, -2.719], [0.806, 0.798, 0.404]]}
'''
Job >
Filter the listing further up: keep the lines with the word "total_charge".
Here it is >
{"formula": "C4H11N2", "method": "ωB97M-V with the def2-TZVPD basis set", "de_lowest_kcal_mol": 125.3, "lumo_ev": [-4.10, -4.10], "homo_energy_ev": [-12.73, -12.73], "total_charge": 1, "gap_ev": [8.63, 8.63], "symbols": ["C", "C", "C", "C", "N", "N", "H", "H", "H", "H", "H", "H", "H", "H", "H", "H", "H"], "xyz": [[2.26680, 1.09754, 0.01145], [1.96010, -0.17592, 0.10427], [-1.05106, -0.09137, -1.36425], [-0.49019, -0.10146, 0.04350], [-0.90018, 0.94233, 0.84900], [-0.79621, -1.45851, 0.86778], [3.24474, 1.35708, -0.39526], [1.65579, 1.92990, -0.07767], [2.62881, -1.02182, -0.15229], [-0.49909, 0.29315, -2.14364], [-2.09217, 0.44034, -1.20821], [-1.29178, -1.13762, -1.59654], [-0.41910, 1.32836, 1.69254], [-1.56192, 1.61680, 0.35431], [-0.10269, -2.11258, 0.59585], [-1.73554, -1.76565, 0.56881], [-0.81630, -1.14056, 1.85033]], "forces_ev_per_angstrom": [[1.476, -1.627, -1.318], [-2.425, 0.741, -0.634], [-3.626, -1.348, 3.230], [3.287, 0.001, 1.451], [-1.004, 1.704, -0.819], [-1.359, 2.347, -1.164], [0.444, -0.199, 0.677], [-1.717, 1.254, 0.526], [-0.896, 0.270, 0.447], [1.414, 1.191, -1.259], [1.820, -0.843, -0.910], [0.024, 0.253, -0.355], [-0.361, -0.780, -1.369], [1.489, -1.064, 1.245], [0.841, -0.979, 0.282], [0.318, -0.157, 0.471], [0.274, -0.765, -0.500]]}
{"formula": "C8H6N2O", "method": "ωB97M-V with the def2-TZVPD basis set", "de_lowest_kcal_mol": 71.0, "lumo_ev": 0.63, "homo_energy_ev": -8.75, "total_charge": 0, "gap_ev": 9.38, "symbols": ["C", "C", "C", "C", "C", "C", "C", "C", "H", "H", "H", "H", "H", "H", "N", "N", "O"], "xyz": [[2.08345, -1.67488, -0.76382], [3.08484, -0.86902, -0.32433], [2.61980, 0.35008, 0.30885], [0.43854, -0.15177, -0.12509], [0.69027, -1.28163, -0.73654], [-1.03047, 0.25930, 0.03948], [-3.05361, 0.36902, -0.09986], [-2.65599, 1.29098, 0.82021], [2.31031, -2.74602, -1.38982], [4.13588, -0.98268, -0.35069], [3.58084, 0.98799, 0.64946], [0.05284, -2.08086, -0.97307], [-4.23920, 0.50485, -0.50616], [-3.14608, 2.08072, 1.42260], [1.32298, 0.70164, 0.40749], [-2.04724, -0.26160, -0.55207], [-1.33572, 1.17540, 0.93079]], "forces_ev_per_angstrom": [[-0.598, -3.325, -3.125], [-2.057, 2.215, 1.276], [1.630, -0.023, -0.434], [-3.383, 3.308, 1.720], [4.489, -3.384, -0.306], [3.246, -1.506, -0.121], [-8.158, 4.363, 1.026], [-1.694, 1.077, 0.914], [-0.475, 3.101, 2.085], [0.730, -0.685, -0.254], [-3.035, -0.748, -0.309], [-1.418, -0.171, -0.588], [3.625, -1.322, 0.962], [0.401, -0.886, -0.587], [2.670, -0.032, 0.059], [3.222, -2.780, -2.719], [0.806, 0.798, 0.404]]}